**Entries**
********
No. 1
Here is a 6-piece molecular cluster, C28H74N6O8 overall from the Open Molecules 2025 dataset. Energies are from the ωB97M-V functional and the def2-TZVPD basis.

```
! wB97M-V def2-TZVPD RIJCOSX def2/J DEFGRID3
* xyz -1 2
C 4.13296 -3.01333 0.74073
C 4.98783 -1.93697 1.46536
C 4.36835 -0.49417 1.48941
O 4.33887 -0.10128 0.15290
C 3.80360 1.26639 0.03595
N 5.22692 -2.34495 2.80653
H 3.23601 -3.18821 1.33488
H 4.64852 -3.95478 0.55107
H 3.87929 -2.58708 -0.22988
H 5.94377 -1.98111 0.94351
H 5.02179 0.13320 2.09564
H 3.41519 -0.47999 2.01798
H 2.87380 1.34750 0.59897
H 3.67050 1.50769 -1.01863
H 4.44940 2.00577 0.50963
H 4.36902 -2.23340 3.32774
H 5.85560 -1.65440 3.19122
C -0.24028 -1.48121 0.95192
C -0.03954 -0.11751 1.54017
C -0.13625 1.02536 0.58032
O -1.32380 0.95082 -0.20424
C -1.43985 2.04977 -1.09736
N -1.07119 0.05386 2.55779
H 0.54608 -1.71731 0.23497
H -1.13883 -1.41215 0.33880
H -0.36525 -2.32263 1.63346
H 0.95391 0.03399 1.96231
H 0.67142 1.11726 -0.14586
H -0.17328 1.97491 1.11425
H -1.55605 2.94695 -0.48935
H -2.30398 1.95484 -1.75491
H -0.60423 2.21798 -1.77671
H -1.09027 0.95639 3.01074
H -1.97177 -0.01486 2.10576
C 0.17588 -3.45170 4.65431
C 0.57839 -2.21631 5.41224
C 1.93202 -1.64195 4.85622
O 3.00224 -2.53302 4.63450
C 3.58170 -3.03459 5.79918
N -0.54180 -1.32397 5.38279
H -0.81620 -3.86102 4.84494
H 0.82623 -4.24919 5.01371
H 0.30002 -3.25082 3.59020
H 0.70703 -2.51479 6.45266
H 2.22139 -0.84186 5.53757
H 1.78452 -1.10697 3.91807
H 2.90853 -3.71054 6.32648
H 3.93503 -2.29203 6.51463
H 4.41201 -3.66792 5.48684
H -0.69490 -0.91875 4.47040
H -1.36677 -1.89173 5.51384
C 1.96204 3.94998 -2.01070
C 1.53263 3.91398 -3.47349
C 1.69149 2.51681 -4.09216
O 3.03402 2.02669 -3.96334
C 3.81754 2.43175 -5.05519
N 0.16033 4.40699 -3.50123
H 2.95478 3.50133 -1.97491
H 1.29595 3.39184 -1.35274
H 1.97945 4.92146 -1.51671
H 2.10133 4.65473 -4.03561
H 1.28943 2.41981 -5.10064
H 1.06792 1.85202 -3.49440
H 4.86389 2.21803 -4.83703
H 3.87303 3.51952 -5.01301
H 3.63524 2.05430 -6.06137
H -0.15130 4.65096 -4.43046
H 0.13802 5.31837 -3.06650
C 0.09524 3.51653 3.45335
O -1.13445 2.81537 3.45270
C -2.27545 3.66273 3.23958
C -3.54469 2.79139 2.89049
N -3.54495 2.32714 1.55892
C -4.73983 1.61807 1.12004
C -4.90532 0.20962 1.86130
O -3.74173 -0.63521 1.73350
C -4.02939 -2.00977 1.99084
H 0.95083 2.84225 3.49115
H 0.03309 4.21041 4.29167
H 0.20180 4.01323 2.48897
H -2.11128 4.36635 2.42345
H -2.43917 4.12995 4.21065
H -4.45706 3.35416 3.08793
H -3.56085 1.91893 3.54366
H -2.79796 1.65348 1.46783
H -4.68720 1.49119 0.03873
H -5.57424 2.28556 1.33523
H -5.77546 -0.25611 1.39864
H -5.08999 0.35322 2.92591
H -3.07539 -2.46810 2.25145
H -4.47325 -2.46946 1.10779
H -4.60659 -2.12819 2.90785
C -5.09457 -1.82749 -7.53732
O -4.72277 -3.01403 -6.81739
C -3.34770 -3.15485 -6.33970
C -3.24829 -2.18852 -5.08495
N -1.86001 -2.29185 -4.52607
C -1.69934 -1.38230 -3.38252
C -0.32929 -1.47768 -2.71664
O 0.65100 -0.84854 -3.54790
C 2.00613 -1.04181 -3.08120
H -5.00745 -0.80376 -7.17332
H -6.17345 -1.90262 -7.67327
H -4.79758 -1.86055 -8.58556
H -2.66125 -2.90192 -7.14772
H -3.28693 -4.20520 -6.05478
H -3.90808 -2.45542 -4.25938
H -3.47392 -1.15127 -5.33248
H -1.15278 -2.11646 -5.22548
H -2.47203 -1.59215 -2.64291
H -1.73404 -0.34489 -3.71522
H -0.20533 -2.54134 -2.51327
H -0.37576 -1.07798 -1.70363
H 2.26333 -0.37546 -2.25783
H 2.56208 -0.67749 -3.94508
H 2.22195 -2.10800 -3.01218
*
```

Output
expectation value of S²	0.751
frontier orbital gap (alpha / beta)	1.4747 / 8.7092	eV

Atomic partial charges in e from the Löwdin method, atoms 1 to 4: -0.05, -0.43, -0.23, -0.20

***

No. 2
Here is C18H20FeN2O11P2 as an isolated structure from the Open Molecules 2025 dataset. Energies are from the ωB97M-V functional and the def2-TZVPD basis.

```
! wB97M-V def2-TZVPD RIJCOSX def2/J DEFGRID3
* xyz -1 6
Fe 0.44195 0.66727 -0.48769
C 3.59971 3.40398 -0.97675
O 4.53484 2.43580 -1.48247
C 4.50861 1.20336 -0.90556
C 5.70784 0.67372 -0.48111
C 5.79949 -0.61753 0.04556
********

**Work order**
Search the rows above for the word "DEFGRID3" and retype each line that has it.

**Response**
! wB97M-V def2-TZVPD RIJCOSX def2/J DEFGRID3
! wB97M-V def2-TZVPD RIJCOSX def2/J DEFGRID3